Listing:
Entry from the Materials Project: P2H38PtC12N6 after structural relaxation (PBE).

Values from the calculation:
magnetic moment	0.01	μB/cell
uncorrected energy	-314.01	eV/f.u.

abc: 8.235 8.382 10.165
angles: 87.69 73.19 61.00
Fractional positions:
H (0.641, 0.394, 0.813)
H (0.733, 0.519, 0.492)
H (0.148, 0.839, 0.316)
C (0.217, 0.210, 0.975)
H (0.797, 0.056, 0.239)
H (0.399, 0.523, 0.804)
H (0.092, 0.348, 0.982)
N (0.443, 0.759, 0.281)
H (0.020, 0.360, 0.627)
Pt (0.500, 0.000, 0.500)
H (0.559, 0.180, 0.223)
H (0.451, 0.368, 0.930)
N (0.700, 0.891, 0.163)
H (0.807, 0.076, 0.548)
H (0.660, 0.830, 0.562)
H (0.852, 0.161, 0.684)
H (0.359, 0.606, 0.187)
N (0.557, 0.241, 0.719)
H (0.637, 0.458, 0.378)
C (0.763, 0.469, 0.383)
P (0.609, 0.810, 0.304)
H (0.267, 0.481, 0.508)
H (0.340, 0.170, 0.438)
H (0.029, 0.645, 0.189)
H (0.108, 0.668, 0.644)
H (0.363, 0.542, 0.622)
H (0.193, 0.924, 0.452)
H (0.203, 0.944, 0.761)
C (0.783, 0.790, 0.025)
H (0.674, 0.776, 0.992)
H (0.194, 0.026, 0.296)
H (0.549, 0.632, 0.070)
H (0.806, 0.974, 0.704)
H (0.834, 0.867, 0.950)
N (0.200, 0.411, 0.715)
H (0.901, 0.568, 0.740)
N (0.300, 0.109, 0.837)
H (0.601, 0.477, 0.196)
H (0.980, 0.640, 0.373)
C (0.295, 0.938, 0.824)
H (0.908, 0.652, 0.018)
H (0.892, 0.332, 0.356)
H (0.235, 0.912, 0.928)
C (0.014, 0.423, 0.724)
C (0.765, 0.106, 0.661)
H (0.099, 0.432, 0.260)
C (0.705, 0.062, 0.176)
H (0.765, 0.088, 0.072)
C (0.235, 0.894, 0.339)
C (0.237, 0.531, 0.617)
H (0.326, 0.224, 0.008)
H (0.441, 0.820, 0.777)
C (0.986, 0.577, 0.276)
C (0.508, 0.388, 0.822)
C (0.492, 0.612, 0.178)
H (0.971, 0.355, 0.811)
P (0.391, 0.190, 0.696)
H (0.166, 0.133, 0.050)
N (0.800, 0.589, 0.285)

----------

Entry from the Materials Project database: a relaxed MgCr3S6O24 crystal (PBE with a Hubbard U).

Values from the calculation:
symmetry	P1
E_form	-1.94	eV per atom
ΔE to the lowest computed polymorph	91	meV/atom
electronic total energy	-217.5	eV/f.u.
spin magnetization	8.0	μB/cell

a b c (Å): 8.9890 9.1827 9.0579
angles (deg): 54.50 54.42 55.44
Last column: nearest neighbours and their distance in Å.
Fractional coordinates of all 34 atoms:
Mg  0.5810  0.2270  0.8313  4 O 1.93-2.03
Cr  0.3504  0.3548  0.3578  6 O 2.01-2.05
Cr  0.6572  0.6523  0.6393  6 O 1.90-2.07
Cr  0.8492  0.8362  0.8488  6 O 1.97-2.15
S  0.0489  0.7287  0.4675  4 O 1.43-1.53
S  0.4699  0.0266  0.7369  4 O 1.42-1.57
S  0.7392  0.4688  0.0345  4 O 1.44-1.53
S  0.2513  0.5667  0.9526  4 O 1.48-1.50
S  0.5282  0.9596  0.2651  4 O 1.43-1.54
S  0.9562  0.2532  0.5361  4 O 1.43-1.59
O  0.1108  0.2747  0.5305  1 S 1.48
O  0.2682  0.5338  0.1238  1 S 1.48
O  0.0004  0.9203  0.3298  1 S 1.43
O  0.5091  0.1278  0.2727  1 S 1.49
O  0.0264  0.7178  0.6523  1 S 1.51
O  0.2499  0.5975  0.3952  1 S 1.49
O  0.3838  0.2250  0.6127  1 S 1.49
O  0.3364  0.9584  0.9298  1 S 1.42
O  0.6099  0.3816  0.2352  1 S 1.48
O  0.0448  0.6774  0.9758  1 S 1.48
O  0.3168  0.3839  0.9408  1 S 1.48
O  0.3471  0.9499  0.3223  1 S 1.43
O  0.6329  0.0425  0.7403  1 S 1.57
O  0.7076  0.6560  0.0202  1 S 1.51
O  0.9408  0.3483  0.9829  1 S 1.44
O  0.3731  0.6821  0.7668  1 S 1.50
O  0.6597  0.9824  0.0490  1 S 1.54
O  0.6494  0.7766  0.3767  1 S 1.50
O  0.7513  0.3882  0.6380  1 S 1.59
O  0.9687  0.2928  0.3526  1 S 1.43
O  0.5824  0.9053  0.6205  1 S 1.49
O  0.9426  0.0618  0.6934  1 S 1.51
O  0.6583  0.5090  0.9009  1 S 1.53
O  0.9221  0.6284  0.5274  1 S 1.53


Entry from the Materials Project database: a relaxed LiMn3B3O9 crystal (PBE with a Hubbard U).

Values from the calculation:
symmetry	P-1
E_form	-2.39	eV per atom
ΔE to the lowest computed polymorph	12	meV/atom
electronic total energy	-121.1	eV/f.u.
spin magnetization	26.0	μB/cell

a b c (Å): 5.4007 8.1031 9.2805
angles (deg): 105.09 106.48 87.58
Last column: nearest neighbours and their distance in Å.
Fractional coordinates of all 32 atoms:
Li  0.0223  0.6153  0.6998  3 O 1.90-2.02
Li  0.9777  0.3847  0.3002  3 O 1.90-2.02
Mn  0.1620  0.3655  0.8962  4 O 1.95-1.99
Activity:
Please retype all of the listing earlier on verbatim.
Written answer:
Entry from the Materials Project: P2H38PtC12N6 after structural relaxation (PBE).

Values from the calculation:
magnetic moment	0.01	μB/cell
uncorrected energy	-314.01	eV/f.u.

abc: 8.235 8.382 10.165
angles: 87.69 73.19 61.00
Fractional positions:
H (0.641, 0.394, 0.813)
H (0.733, 0.519, 0.492)
H (0.148, 0.839, 0.316)
C (0.217, 0.210, 0.975)
H (0.797, 0.056, 0.239)
H (0.399, 0.523, 0.804)
H (0.092, 0.348, 0.982)
N (0.443, 0.759, 0.281)
H (0.020, 0.360, 0.627)
Pt (0.500, 0.000, 0.500)
H (0.559, 0.180, 0.223)
H (0.451, 0.368, 0.930)
N (0.700, 0.891, 0.163)
H (0.807, 0.076, 0.548)
H (0.660, 0.830, 0.562)
H (0.852, 0.161, 0.684)
H (0.359, 0.606, 0.187)
N (0.557, 0.241, 0.719)
H (0.637, 0.458, 0.378)
C (0.763, 0.469, 0.383)
P (0.609, 0.810, 0.304)
H (0.267, 0.481, 0.508)
H (0.340, 0.170, 0.438)
H (0.029, 0.645, 0.189)
H (0.108, 0.668, 0.644)
H (0.363, 0.542, 0.622)
H (0.193, 0.924, 0.452)
H (0.203, 0.944, 0.761)
C (0.783, 0.790, 0.025)
H (0.674, 0.776, 0.992)
H (0.194, 0.026, 0.296)
H (0.549, 0.632, 0.070)
H (0.806, 0.974, 0.704)
H (0.834, 0.867, 0.950)
N (0.200, 0.411, 0.715)
H (0.901, 0.568, 0.740)
N (0.300, 0.109, 0.837)
H (0.601, 0.477, 0.196)
H (0.980, 0.640, 0.373)
C (0.295, 0.938, 0.824)
H (0.908, 0.652, 0.018)
H (0.892, 0.332, 0.356)
H (0.235, 0.912, 0.928)
C (0.014, 0.423, 0.724)
C (0.765, 0.106, 0.661)
H (0.099, 0.432, 0.260)
C (0.705, 0.062, 0.176)
H (0.765, 0.088, 0.072)
C (0.235, 0.894, 0.339)
C (0.237, 0.531, 0.617)
H (0.326, 0.224, 0.008)
H (0.441, 0.820, 0.777)
C (0.986, 0.577, 0.276)
C (0.508, 0.388, 0.822)
C (0.492, 0.612, 0.178)
H (0.971, 0.355, 0.811)
P (0.391, 0.190, 0.696)
H (0.166, 0.133, 0.050)
N (0.800, 0.589, 0.285)

----------

Entry from the Materials Project database: a relaxed MgCr3S6O24 crystal (PBE with a Hubbard U).

Values from the calculation:
symmetry	P1
E_form	-1.94	eV per atom
ΔE to the lowest computed polymorph	91	meV/atom
electronic total energy	-217.5	eV/f.u.
spin magnetization	8.0	μB/cell

a b c (Å): 8.9890 9.1827 9.0579
angles (deg): 54.50 54.42 55.44
Last column: nearest neighbours and their distance in Å.
Fractional coordinates of all 34 atoms:
Mg  0.5810  0.2270  0.8313  4 O 1.93-2.03
Cr  0.3504  0.3548  0.3578  6 O 2.01-2.05
Cr  0.6572  0.6523  0.6393  6 O 1.90-2.07
Cr  0.8492  0.8362  0.8488  6 O 1.97-2.15
S  0.0489  0.7287  0.4675  4 O 1.43-1.53
S  0.4699  0.0266  0.7369  4 O 1.42-1.57
S  0.7392  0.4688  0.0345  4 O 1.44-1.53
S  0.2513  0.5667  0.9526  4 O 1.48-1.50
S  0.5282  0.9596  0.2651  4 O 1.43-1.54
S  0.9562  0.2532  0.5361  4 O 1.43-1.59
O  0.1108  0.2747  0.5305  1 S 1.48
O  0.2682  0.5338  0.1238  1 S 1.48
O  0.0004  0.9203  0.3298  1 S 1.43
O  0.5091  0.1278  0.2727  1 S 1.49
O  0.0264  0.7178  0.6523  1 S 1.51
O  0.2499  0.5975  0.3952  1 S 1.49
O  0.3838  0.2250  0.6127  1 S 1.49
O  0.3364  0.9584  0.9298  1 S 1.42
O  0.6099  0.3816  0.2352  1 S 1.48
O  0.0448  0.6774  0.9758  1 S 1.48
O  0.3168  0.3839  0.9408  1 S 1.48
O  0.3471  0.9499  0.3223  1 S 1.43
O  0.6329  0.0425  0.7403  1 S 1.57
O  0.7076  0.6560  0.0202  1 S 1.51
O  0.9408  0.3483  0.9829  1 S 1.44
O  0.3731  0.6821  0.7668  1 S 1.50
O  0.6597  0.9824  0.0490  1 S 1.54
O  0.6494  0.7766  0.3767  1 S 1.50
O  0.7513  0.3882  0.6380  1 S 1.59
O  0.9687  0.2928  0.3526  1 S 1.43
O  0.5824  0.9053  0.6205  1 S 1.49
O  0.9426  0.0618  0.6934  1 S 1.51
O  0.6583  0.5090  0.9009  1 S 1.53
O  0.9221  0.6284  0.5274  1 S 1.53


Entry from the Materials Project database: a relaxed LiMn3B3O9 crystal (PBE with a Hubbard U).

Values from the calculation:
symmetry	P-1
E_form	-2.39	eV per atom
ΔE to the lowest computed polymorph	12	meV/atom
electronic total energy	-121.1	eV/f.u.
spin magnetization	26.0	μB/cell

a b c (Å): 5.4007 8.1031 9.2805
angles (deg): 105.09 106.48 87.58
Last column: nearest neighbours and their distance in Å.
Fractional coordinates of all 32 atoms:
Li  0.0223  0.6153  0.6998  3 O 1.90-2.02
Li  0.9777  0.3847  0.3002  3 O 1.90-2.02
Mn  0.1620  0.3655  0.8962  4 O 1.95-1.99